**Contents:**
The following is a DFT calculation (PBE) of an optimized crystal structure of GaTeRu2.

Summary:
Fermi-level density of states   4.9 states/eV per cell
Distance to the lowest polymorph of the same formula   0.000 eV/atom
Energy relative to the elements, uncorrected   50.5 meV/atom

```
4
Lattice="0.000 3.175 3.175 3.175 0.000 3.175 3.175 3.175 0.000" Properties=species:S:1:pos:R:3 pbc="T T T"
Ru 1.588 1.588 1.588
Ru 4.763 4.763 4.763
Te 3.175 3.175 3.175
Ga 0.000 0.000 0.000
```

---

The following is a DFT calculation (PBE) of an optimized crystal structure of K3Ag.

Summary:
Fermi-level density of states   4.8 states/eV per cell
Distance to the lowest polymorph of the same formula   0.036 eV/atom
Formation enthalpy at 0 K   0.064 eV/atom

```
8
Lattice="4.764 0.000 0.000 0.000 11.174 0.000 0.000 0.000 7.972" Properties=species:S:1:pos:R:3 pbc="T T T"
Ag 0.000 3.567 0.000
Ag 2.382 7.607 3.986
K 2.382 6.067 0.000
K 0.000 5.107 3.986
K 0.000 9.322 2.052
K 0.000 9.322 5.921
K 2.382 1.853 6.038
K 2.382 1.853 1.935
```

---

The following is a DFT calculation (PBE) of an optimized crystal structure of ReW2.

Summary:
Fermi-level density of states   13.0 states/eV per cell
Distance to the lowest polymorph of the same formula   0.718 eV/atom
Formation enthalpy at 0 K   0.767 eV/atom

```
12
Lattice="-1.950 1.399 1.069 -2.316 -3.623 0.517 7.491 -2.392 16.789" Properties=species:S:1:pos:R:3 pbc="T T T"
Re 4.004 -2.369 10.402
Re 1.170 -3.646 6.905
Re 5.099 -2.331 15.575
Re -1.874 -2.285 2.800
W -0.292 -0.997 0.773
W 0.802 -1.347 3.224
W 4.373 -4.669 14.083
W 5.467 -5.018 16.534
W 0.811 -0.961 5.964
W 1.904 -1.311 8.415
W 1.321 -3.305 9.961
W 2.414 -3.655 12.411
```

---

The following is a DFT calculation (PBE) of an optimized crystal structure of Ce2ZnMo.

Summary:
Fermi-level density of states   7.2 states/eV per cell
Distance to the lowest polymorph of the same formula   0.000 eV/atom
Formation enthalpy at 0 K   0.078 eV/atom

```

**Wanted:**
Could you duplicate the listing further above from the first line to the one with "5.467 -5.018" exactly?

**Here it is:**
The following is a DFT calculation (PBE) of an optimized crystal structure of GaTeRu2.

Summary:
Fermi-level density of states   4.9 states/eV per cell
Distance to the lowest polymorph of the same formula   0.000 eV/atom
Energy relative to the elements, uncorrected   50.5 meV/atom

```
4
Lattice="0.000 3.175 3.175 3.175 0.000 3.175 3.175 3.175 0.000" Properties=species:S:1:pos:R:3 pbc="T T T"
Ru 1.588 1.588 1.588
Ru 4.763 4.763 4.763
Te 3.175 3.175 3.175
Ga 0.000 0.000 0.000
```

---

The following is a DFT calculation (PBE) of an optimized crystal structure of K3Ag.

Summary:
Fermi-level density of states   4.8 states/eV per cell
Distance to the lowest polymorph of the same formula   0.036 eV/atom
Formation enthalpy at 0 K   0.064 eV/atom

```
8
Lattice="4.764 0.000 0.000 0.000 11.174 0.000 0.000 0.000 7.972" Properties=species:S:1:pos:R:3 pbc="T T T"
Ag 0.000 3.567 0.000
Ag 2.382 7.607 3.986
K 2.382 6.067 0.000
K 0.000 5.107 3.986
K 0.000 9.322 2.052
K 0.000 9.322 5.921
K 2.382 1.853 6.038
K 2.382 1.853 1.935
```

---

The following is a DFT calculation (PBE) of an optimized crystal structure of ReW2.

Summary:
Fermi-level density of states   13.0 states/eV per cell
Distance to the lowest polymorph of the same formula   0.718 eV/atom
Formation enthalpy at 0 K   0.767 eV/atom

```
12
Lattice="-1.950 1.399 1.069 -2.316 -3.623 0.517 7.491 -2.392 16.789" Properties=species:S:1:pos:R:3 pbc="T T T"
Re 4.004 -2.369 10.402
Re 1.170 -3.646 6.905
Re 5.099 -2.331 15.575
Re -1.874 -2.285 2.800
W -0.292 -0.997 0.773
W 0.802 -1.347 3.224
W 4.373 -4.669 14.083
W 5.467 -5.018 16.534